What is needed: quote all of the notes below without additions.

- - -
No. 1
Below is crystalline NaInRhF6 at its relaxed geometry, with properties calculated at the PBE level.

Properties
Electronic total energy = -4.571 eV/atom
Uncorrected formation energy = -2.056 eV/atom
Space group = No. 163
D(E_F) = 0.72 states/eV/atom

Unit cell a=5.6599 b=5.6599 c=9.6565 alpha=90.00 beta=90.00 gamma=120.00
Fractional positions:
Na1 0.0000 0.0000 0.0000
Na2 0.0000 0.0000 0.5000
In1 0.3333 0.6667 0.2500
In2 0.6667 0.3333 0.7500
Rh1 0.3333 0.6667 0.7500
Rh2 0.6667 0.3333 0.2500
F1 0.0064 0.3539 0.1352
F2 0.0064 0.6525 0.3648
F3 0.3475 0.3539 0.3648
F4 0.3475 0.9936 0.1352
F5 0.3539 0.0064 0.6352
F6 0.3539 0.3475 0.8648
F7 0.6461 0.6525 0.1352
F8 0.6461 0.9936 0.3648
F9 0.6525 0.0064 0.8648
F10 0.6525 0.6461 0.6352
F11 0.9936 0.3475 0.6352
F12 0.9936 0.6461 0.8648

No. 2
Below is crystalline Na2InRuF at its relaxed geometry, with properties calculated at the PBE level.

Properties
Electronic total energy = -3.125 eV/atom
Uncorrected formation energy = 0.180 eV/atom
Space group = No. 123
D(E_F) = 0.26 states/eV/atom

Unit cell a=5.6578 b=5.6578 c=5.0432 alpha=90.00 beta=90.00 gamma=90.00
Fractional positions:
Na1 0.0000 0.5000 0.0000
Na2 0.5000 0.0000 0.0000
In1 0.0000 0.0000 0.5000
Ru1 0.0000 0.0000 0.0000
F1 0.5000 0.5000 0.5000

No. 3
Below is crystalline NaInS2F at its relaxed geometry, with properties calculated at the PBE level.

Properties
Electronic total energy = -2.607 eV/atom
Uncorrected formation energy = 0.229 eV/atom
Space group = No. 123
D(E_F) = 1.05 states/eV/atom

Unit cell a=4.7670 b=4.7670 c=7.6366 alpha=90.00 beta=90.00 gamma=90.00
Fractional positions:
Na1 0.0000 0.0000 0.0000
In1 0.0000 0.0000 0.5000
S1 0.0000 0.5000 0.0000
S2 0.5000 0.0000 0.0000
F1 0.5000 0.5000 0.5000

No. 4
Below is crystalline NaInSF2 at its relaxed geometry, with properties calculated at the PBE level.

Properties
Electronic total energy = -4.284 eV/atom
Uncorrected formation energy = -1.899 eV/atom
Space group = No. 11
D(E_F) = 0.00 states/eV/atom

Unit cell a=6.5883 b=3.9511 c=7.6059 alpha=90.00 beta=114.70 gamma=90.00
Fractional positions:
Na1 0.1734 0.2500 0.4403
Na2 0.8266 0.7500 0.5597
In1 0.2404 0.2500 0.9673
In2 0.7596 0.7500 0.0327
S1 0.4603 0.7500 0.1846
S2 0.5397 0.2500 0.8154
F1 0.0156 0.2500 0.1163
F2 0.0176 0.2500 0.6607
F3 0.9824 0.7500 0.3393
F4 0.9844 0.7500 0.8837

No. 5
Below is crystalline Na2InSbF at its relaxed geometry, with properties calculated at the PBE level.

Properties
Electronic total energy = -3.395 eV/atom
Uncorrected formation energy = -1.121 eV/atom
Space group = No. 123
D(E_F) = 0.04 states/eV/atom

Unit cell a=4.5544 b=4.5544 c=5.3983 alpha=90.00 beta=90.00 gamma=90.00
Fractional positions:
Na1 0.0000 0.5000 0.0000
Na2 0.5000 0.0000 0.0000
In1 0.0000 0.0000 0.5000
Sb1 0.5000 0.5000 0.5000
F1 0.0000 0.0000 0.0000

No. 6
Below is crystalline NaScIn2F6 at its relaxed geometry, with properties calculated at the PBE level.

Properties
Electronic total energy = -5.244 eV/atom
Uncorrected formation energy = -2.808 eV/atom
Space group = No. 146
D(E_F) = 0.00 states/eV/atom

Unit cell a=6.2009 b=6.2009 c=6.2009 alpha=59.97 beta=59.97 gamma=59.97
Fractional positions:
Na1 0.0000 0.0000 0.0000
Sc1 0.4962 0.4962 0.4962
In1 0.2687 0.2687 0.2687
In2 0.7661 0.7661 0.7661
F1 0.2448 0.7189 0.7362
F2 0.2515 0.7077 0.2718
F3 0.2718 0.2515 0.7077
F4 0.7077 0.2718 0.2515
F5 0.7189 0.7362 0.2448
F6 0.7362 0.2448 0.7189

----------

! K3TlCo2F8 (PBE with a Hubbard U, relaxed); values from VASP
! **VASP energy**: -4.4819 eV per atom
! **Space group**: No. 164
&SYSTEM
  ibrav = 0, nat = 14, ntyp = 4
/
ATOMIC_SPECIES
K 39.10 K.upf
Tl 204.38 Tl.upf
Co 58.93 Co.upf
F 19.00 F.upf
ATOMIC_POSITIONS angstrom
K 0.000 0.000 0.000
K 0.000 3.616 5.752
K 3.132 1.808 2.747
Tl 0.000 0.000 4.250
Co 0.000 3.616 1.559
Co 3.132 1.808 6.940
F 0.000 1.850 2.349
F -1.530 4.499 2.349
F 0.000 3.616 8.165
F 1.602 0.925 6.150
F 1.530 4.499 2.349
F 3.132 1.808 0.334
F 4.661 0.925 6.150
F 3.132 3.574 6.150
- - -

No. 1
Below is crystalline NaInRhF6 at its relaxed geometry, with properties calculated at the PBE level.

Properties
Electronic total energy = -4.571 eV/atom
Uncorrected formation energy = -2.056 eV/atom
Space group = No. 163
D(E_F) = 0.72 states/eV/atom

Unit cell a=5.6599 b=5.6599 c=9.6565 alpha=90.00 beta=90.00 gamma=120.00
Fractional positions:
Na1 0.0000 0.0000 0.0000
Na2 0.0000 0.0000 0.5000
In1 0.3333 0.6667 0.2500
In2 0.6667 0.3333 0.7500
Rh1 0.3333 0.6667 0.7500
Rh2 0.6667 0.3333 0.2500
F1 0.0064 0.3539 0.1352
F2 0.0064 0.6525 0.3648
F3 0.3475 0.3539 0.3648
F4 0.3475 0.9936 0.1352
F5 0.3539 0.0064 0.6352
F6 0.3539 0.3475 0.8648
F7 0.6461 0.6525 0.1352
F8 0.6461 0.9936 0.3648
F9 0.6525 0.0064 0.8648
F10 0.6525 0.6461 0.6352
F11 0.9936 0.3475 0.6352
F12 0.9936 0.6461 0.8648

No. 2
Below is crystalline Na2InRuF at its relaxed geometry, with properties calculated at the PBE level.

Properties
Electronic total energy = -3.125 eV/atom
Uncorrected formation energy = 0.180 eV/atom
Space group = No. 123
D(E_F) = 0.26 states/eV/atom

Unit cell a=5.6578 b=5.6578 c=5.0432 alpha=90.00 beta=90.00 gamma=90.00
Fractional positions:
Na1 0.0000 0.5000 0.0000
Na2 0.5000 0.0000 0.0000
In1 0.0000 0.0000 0.5000
Ru1 0.0000 0.0000 0.0000
F1 0.5000 0.5000 0.5000

No. 3
Below is crystalline NaInS2F at its relaxed geometry, with properties calculated at the PBE level.

Properties
Electronic total energy = -2.607 eV/atom
Uncorrected formation energy = 0.229 eV/atom
Space group = No. 123
D(E_F) = 1.05 states/eV/atom

Unit cell a=4.7670 b=4.7670 c=7.6366 alpha=90.00 beta=90.00 gamma=90.00
Fractional positions:
Na1 0.0000 0.0000 0.0000
In1 0.0000 0.0000 0.5000
S1 0.0000 0.5000 0.0000
S2 0.5000 0.0000 0.0000
F1 0.5000 0.5000 0.5000

No. 4
Below is crystalline NaInSF2 at its relaxed geometry, with properties calculated at the PBE level.

Properties
Electronic total energy = -4.284 eV/atom
Uncorrected formation energy = -1.899 eV/atom
Space group = No. 11
D(E_F) = 0.00 states/eV/atom

Unit cell a=6.5883 b=3.9511 c=7.6059 alpha=90.00 beta=114.70 gamma=90.00
Fractional positions:
Na1 0.1734 0.2500 0.4403
Na2 0.8266 0.7500 0.5597
In1 0.2404 0.2500 0.9673
In2 0.7596 0.7500 0.0327
S1 0.4603 0.7500 0.1846
S2 0.5397 0.2500 0.8154
F1 0.0156 0.2500 0.1163
F2 0.0176 0.2500 0.6607
F3 0.9824 0.7500 0.3393
F4 0.9844 0.7500 0.8837

No. 5
Below is crystalline Na2InSbF at its relaxed geometry, with properties calculated at the PBE level.

Properties
Electronic total energy = -3.395 eV/atom
Uncorrected formation energy = -1.121 eV/atom
Space group = No. 123
D(E_F) = 0.04 states/eV/atom

Unit cell a=4.5544 b=4.5544 c=5.3983 alpha=90.00 beta=90.00 gamma=90.00
Fractional positions:
Na1 0.0000 0.5000 0.0000
Na2 0.5000 0.0000 0.0000
In1 0.0000 0.0000 0.5000
Sb1 0.5000 0.5000 0.5000
F1 0.0000 0.0000 0.0000

No. 6
Below is crystalline NaScIn2F6 at its relaxed geometry, with properties calculated at the PBE level.

Properties
Electronic total energy = -5.244 eV/atom
Uncorrected formation energy = -2.808 eV/atom
Space group = No. 146
D(E_F) = 0.00 states/eV/atom

Unit cell a=6.2009 b=6.2009 c=6.2009 alpha=59.97 beta=59.97 gamma=59.97
Fractional positions:
Na1 0.0000 0.0000 0.0000
Sc1 0.4962 0.4962 0.4962
In1 0.2687 0.2687 0.2687
In2 0.7661 0.7661 0.7661
F1 0.2448 0.7189 0.7362
F2 0.2515 0.7077 0.2718
F3 0.2718 0.2515 0.7077
F4 0.7077 0.2718 0.2515
F5 0.7189 0.7362 0.2448
F6 0.7362 0.2448 0.7189

----------

! K3TlCo2F8 (PBE with a Hubbard U, relaxed); values from VASP
! **VASP energy**: -4.4819 eV per atom
! **Space group**: No. 164
&SYSTEM
  ibrav = 0, nat = 14, ntyp = 4
/
ATOMIC_SPECIES
K 39.10 K.upf
Tl 204.38 Tl.upf
Co 58.93 Co.upf
F 19.00 F.upf
ATOMIC_POSITIONS angstrom
K 0.000 0.000 0.000
K 0.000 3.616 5.752
K 3.132 1.808 2.747
Tl 0.000 0.000 4.250
Co 0.000 3.616 1.559
Co 3.132 1.808 6.940
F 0.000 1.850 2.349
F -1.530 4.499 2.349
F 0.000 3.616 8.165
F 1.602 0.925 6.150
F 1.530 4.499 2.349
F 3.132 1.808 0.334
F 4.661 0.925 6.150
F 3.132 3.574 6.150